- unitary
Records of molecules from another source follow:
- - -
[1]
Density functional theory data (the ωB97M-V functional and the def2-TZVPD basis) for 8 unconnected molecules or ions with the total composition C32H88N8O8.

Its net charge is 0. As for the highest occupied orbital energy: -8.686 eV. For the energy above the lowest of the compared OMol25 structures with the same formula, charge and spin, the calculation gives 14.34 kcal per mole.

CARTESIAN COORDINATES (ANGSTROEM)
C: 0.464 -3.445 -7.017
C: -0.951 -3.802 -6.618
C: -1.553 -2.759 -5.692
O: -1.040 -2.824 -4.370
C: -1.548 -3.909 -3.614
N: -1.780 -3.875 -7.846
H: 1.081 -3.223 -6.139
H: 0.485 -2.572 -7.669
H: 1.016 -4.257 -7.498
H: -0.922 -4.792 -6.147
H: -2.644 -2.869 -5.628
H: -1.331 -1.766 -6.083
H: -2.640 -3.877 -3.556
H: -1.118 -3.799 -2.619
H: -1.209 -4.861 -4.031
H: -1.586 -4.760 -8.301
H: -2.764 -3.906 -7.593
C: 2.221 4.946 -1.627
C: 1.421 6.244 -1.821
C: 2.266 7.440 -1.436
O: 2.569 7.373 -0.059
C: 3.264 8.518 0.371
N: 0.951 6.283 -3.210
H: 2.309 4.686 -0.575
H: 3.203 5.125 -2.074
H: 1.749 4.118 -2.152
H: 0.538 6.231 -1.177
H: 1.686 8.359 -1.612
H: 3.199 7.494 -2.013
H: 3.489 8.395 1.427
H: 2.640 9.414 0.251
H: 4.179 8.672 -0.211
H: 1.764 6.302 -3.825
H: 0.489 7.171 -3.403
C: 4.813 1.524 3.064
C: 3.311 1.355 2.885
C: 2.637 0.788 4.131
O: 2.951 -0.550 4.449
C: 2.646 -1.474 3.423
N: 2.745 2.648 2.496
H: 5.280 1.908 2.163
H: 5.252 0.555 3.332
H: 5.048 2.136 3.940
H: 3.138 0.672 2.052
H: 1.549 0.920 4.033
H: 2.902 1.379 5.013
H: 1.703 -1.179 2.946
H: 2.517 -2.463 3.863
H: 3.456 -1.554 2.690
H: 1.719 2.579 2.525
H: 2.844 3.343 3.241
C: -1.274 3.612 4.664
C: -2.765 3.931 4.927
C: -3.647 2.902 4.271
O: -3.269 2.817 2.905
C: -4.011 1.852 2.208
N: -3.079 4.075 6.340
H: -1.025 2.625 5.073
H: -0.668 4.334 5.208
H: -1.134 3.553 3.592
H: -2.925 4.905 4.457
H: -4.712 3.168 4.292
H: -3.549 1.913 4.750
H: -5.092 2.015 2.327
H: -3.814 0.861 2.635
H: -3.776 1.870 1.148
H: -2.988 3.175 6.811
H: -2.393 4.634 6.837
C: 0.324 2.331 -0.145
C: -0.305 1.158 0.602
C: 0.489 -0.114 0.365
O: 0.591 -0.373 -1.020
C: 1.069 -1.680 -1.239
N: -0.317 1.425 2.051
H: 0.593 2.058 -1.165
H: 1.317 2.510 0.287
H: -0.245 3.248 -0.006
H: -1.350 1.041 0.280
H: -0.019 -0.934 0.896
H: 1.498 -0.033 0.787
H: 0.427 -2.403 -0.713
H: 2.090 -1.796 -0.855
H: 1.061 -1.958 -2.292
H: -0.581 0.577 2.559
H: -1.040 2.117 2.215
C: -2.555 -3.306 3.803
C: -1.976 -2.219 2.902
C: -2.834 -1.949 1.672
O: -2.872 -3.146 0.936
C: -3.830 -3.112 -0.107
N: -1.646 -0.983 3.628
H: -3.418 -2.914 4.355
H: -1.841 -3.632 4.561
H: -2.872 -4.162 3.208
H: -1.030 -2.608 2.507
H: -2.368 -1.164 1.064
H: -3.826 -1.604 1.998
H: -3.758 -4.069 -0.627
H: -3.565 -2.346 -0.841
H: -4.840 -2.978 0.286
H: -1.092 -1.265 4.438
H: -2.480 -0.626 4.099
C: -3.812 -0.159 -3.979
C: -2.627 0.454 -3.261
C: -2.909 1.847 -2.722
O: -3.314 2.685 -3.785
C: -3.513 4.012 -3.376
N: -2.214 -0.400 -2.135
H: -4.734 -0.092 -3.395
H: -3.631 -1.228 -4.117
H: -3.950 0.345 -4.933
H: -1.789 0.564 -3.962
H: -1.953 2.231 -2.340
H: -3.679 1.830 -1.943
- - -
- [ʹju:nıt(ə)rı] a
1. единичный2. унитарный, единый; стремящийся к единству, объединению
unitary state - унитарное государство
Новый большой англо-русский словарь. 2001.
unitary state - унитарное государство
Новый большой англо-русский словарь. 2001.
Unitary — may refer to:* In automotive design, unitary construction is another common term for a unibody or monocoque construction * In Christian doctrine, unitarianism is the belief in a unitary God as opposed to the concept of the Trinity. ** Unitarian… … Wikipedia
Inserted here: quantum chemistry results =
<<<
{
  "formula": "C12H22Cl6O20S5",
  "method": "ωB97M-V/def2-TZVPD",
  "e_homo_ev": -10.926,
  "e_tot_ev": -183055.5100,
  "orbital_gap_ev": 10.95,
  "total_charge": 0,
  "elements": ["C", "C", "O", "S", "O", "O", "O", "H", "H", "H", "H", "C", "C", "O", "S", "O", "O", "O", "H", "H", "H", "H", "C", "C", "O", "S", "O", "O", "O", "H", "H", "H", "H", "C", "C", "O", "S", "O", "O", "O", "H", "H", "H", "H", "C", "C", "O", "S", "O", "O", "O", "H", "H", "H", "H", "C", "Cl", "Cl", "Cl", "H", "C", "Cl", "Cl", "Cl", "H"],
  "positions_angstrom": [[1.68, 0.97, -0.97], [3.09, 1.11, -1.59], [2.94, 2.30, -2.32], [1.48, 2.60, -2.73], [1.26, 2.33, -4.13], [1.04, 3.78, -2.11], [0.78, 1.41, -1.98], [1.49, 1.53, -0.03], [1.30, -0.05, -0.81], [3.40, 0.30, -2.24], [3.86, 1.31, -0.84], [-1.31, 3.56, -0.05], [-2.32, 4.46, 0.66], [-3.58, 3.81, 0.46], [-3.50, 2.91, -0.95], [-4.09, 3.69, -1.97], [-3.87, 1.58, -0.56], [-1.97, 2.92, -1.18], [-1.03, 2.80, 0.64], [-0.37, 4.09, -0.36], [-2.35, 5.41, 0.23], [-2.19, 4.58, 1.73], [1.03, -1.22, -4.57], [-0.14, -2.34, -4.54], [0.49, -3.55, -4.15], [1.99, -3.32, -3.72], [2.80, -3.69, -4.86], [2.16, -3.87, -2.42], [1.97, -1.78, -3.55], [0.71, -0.24, -4.19], [1.49, -1.09, -5.55], [-0.46, -2.56, -5.54], [-0.88, -2.14, -3.76], [0.40, -0.02, 4.80], [-0.70, 1.20, 4.79], [-1.16, 1.22, 3.51], [-0.11, 0.66, 2.51], [0.86, 1.73, 2.23], [-0.73, -0.09, 1.40], [0.51, -0.38, 3.48], [-0.01, -0.74, 5.45], [1.37, 0.32, 5.22], [-0.21, 2.17, 4.96], [-1.57, 1.12, 5.40], [3.24, -3.95, 0.55], [1.95, -3.02, 0.59], [2.51, -1.71, 0.44], [3.82, -1.65, 1.33], [3.35, -1.32, 2.64], [4.80, -0.88, 0.62], [4.16, -3.16, 1.31], [3.60, -4.05, -0.50], [3.16, -4.88, 1.11], [1.56, -2.95, 1.63], [1.19, -3.10, -0.16], [-2.74, -1.11, -0.77], [-1.37, -2.12, -0.59], [-4.03, -1.67, 0.35], [-3.34, -1.42, -2.44], [-2.57, -0.05, -0.63], [-4.87, -0.42, 3.74], [-4.85, -1.27, 5.22], [-4.70, 1.33, 3.98], [-6.34, -0.76, 2.78], [-4.07, -0.65, 3.00]],
  "nbo_charge": [-0.14, -0.10, -0.69, 2.58, -0.92, -0.93, -0.70, 0.22, 0.23, 0.21, 0.23, -0.11, -0.10, -0.68, 2.54, -0.88, -0.92, -0.69, 0.19, 0.25, 0.19, 0.21, -0.12, -0.10, -0.69, 2.57, -0.90, -0.94, -0.71, 0.24, 0.21, 0.21, 0.22, -0.09, -0.10, -0.68, 2.53, -0.91, -0.89, -0.67, 0.20, 0.21, 0.19, 0.21, -0.09, -0.11, -0.71, 2.56, -0.92, -0.90, -0.70, 0.23, 0.21, 0.20, 0.23, -0.26, 0.03, -0.01, -0.02, 0.27, -0.32, 0.06, 0.00, 0.00, 0.25]
}



{
  "formula": "C4H7N3",
  "method": "ωB97M-V/def2-TZVPD",
  "e_homo_ev": -8.921,
  "e_tot_ev": -8729.3768,
  "orbital_gap_ev": 10.02,
  "e_above_lowest_kcal_mol": 53.1,
  "smiles": "CNn1cccn1",
  "total_charge": 0,
  "elements": ["C", "N", "N", "C", "C", "C", "N", "H", "H", "H", "H", "H", "H", "H"],
>>>
unitary — uni·tary / yü nə ˌter ē/ adj 1: having the character of a single thing that is a constituent of a whole; specif: of, relating to, or being a business with subsidiaries in other states or nations that has its state income tax figured by including… … Law dictionary
Unitary — U nit*a*ry, a. 1. Of or pertaining to a unit or units; relating to unity; as, the unitary method in arithmetic. [1913 Webster] 2. Of the nature of a unit; not divided; united. [1913 Webster] {Unitary theory} (Chem.), the modern theory that the… … The Collaborative International Dictionary of English
unitary — 1816; see UNIT (Cf. unit) + ARY (Cf. ary) … Etymology dictionary
unitary — ► ADJECTIVE 1) single; uniform. 2) relating to a unit or units … English terms dictionary
Formula: C4H14N3O
Source: OMol25
Level of theory: the ωB97M-V functional and the def2-TZVPD basis

Each atom is followed by the atoms it is bonded to, with distances in Å.
Geometry (Å):
1 C -2.0883 1.0026 1.3758  C2 1.556, H8 1.096, H9 1.080, H10 1.089
2 C -2.2182 0.9158 -0.1725  C1 1.556, C3 1.518, H11 1.088, H12 1.089
3 C -1.3893 -0.2133 -0.7588  C2 1.518, N4 1.466, H13 1.098, H14 1.093
4 N 0.0265 -0.0782 -0.4048  C3 1.466, C5 1.306, H15 1.018
5 C 0.9204 -0.9891 -0.6816  N4 1.306, N6 1.364, N7 1.333
6 N 0.5681 -2.1736 -1.2590  C5 1.364, H16 0.995, H17 1.018
7 N 2.2248 -0.8601 -0.4402  C5 1.333, H18 0.987, H19 1.010
8 H -1.8715 0.0017 1.7662  C1 1.096
9 H -2.9677 1.3720 1.8826  C1 1.080
10 H -1.1723 1.5659 1.5471  C1 1.089
11 H -3.2203 0.7789 -0.5723  C2 1.088
12 H -1.8381 1.8714 -0.5294  C2 1.089
13 H -1.7888 -1.1459 -0.3384  C3 1.098
14 H -1.4929 -0.3230 -1.8411  C3 1.093
15 H 0.3191 0.7390 0.1273  N4 1.018
16 H -0.3935 -2.4059 -1.3651  N6 0.995
17 H 1.2244 -2.5586 -1.9356  N6 1.018
18 H 2.9117 -1.5457 -0.6214  N7 0.987
19 H 2.5200 0.0328 -0.0708  N7 1.010
20 H 1.7957 1.7065 2.6557  O22 0.983
21 H 1.5923 2.7200 1.6157  O22 0.967
22 O 1.6571 1.7573 1.6839  H20 0.983, H21 0.967

Output
max |F| = 2.4 eV/Å
LUMO energy = -2.7 eV
energy relative to the best compared isomer or geometry (same formula, charge and spin) = 0.2395 eV
E_tot = -10887.9215 eV
orbital gap = 11.7 eV
HOMO energy = -14.4666 eV
net charge = +1

Just the Löwdin charges please, in e? Sure, here they are: -0.074 -0.217 -0.187 0.114 -0.420 0.198 0.218 0.077 0.079 0.051 0.117 0.109 0.126 0.132 0.127 0.097 0.138 0.122 0.116 0.078 0.059 -0.061

~~~~~

Entry from OMol25: an isolated molecule of C9H16N2O3 at a distorted geometry (ωB97M-V with the def2-TZVPD basis set).

Each atom is followed by the atoms it is bonded to, with distances in Å.
Positions of all 30 atoms, in Å:
1 C -1.46615 1.74577 -1.64685  C2 1.358, N10 1.349, H15 1.082
2 C -1.88225 1.16124 -0.49435  C1 1.358, C3 1.505, O13 1.385
3 C -1.88407 -0.33703 -0.34832  C2 1.505, C4 1.519, H16 1.097, H17 1.097
4 C -0.59669 -0.99041 0.12324  C3 1.519, O12 1.360, O14 1.340
5 C 0.77639 -0.09423 -1.73980  C6 1.511, C7 1.505, N11 1.324
6 C 1.36862 1.04631 -0.94560  C5 1.511, H18 1.092, H19 1.089, H20 1.091
7 C 1.65792 -1.28710 -1.99655  C5 1.505, H21 1.089, H22 1.092, H23 1.088
8 C -2.05853 1.92188 1.72963  O13 1.412, H24 1.097, H25 1.096, H26 1.089
9 C 0.87932 -1.19803 1.97654  O14 1.417, H27 1.091, H28 1.094, H29 1.092
10 N -0.98221 1.06138 -2.70411  C1 1.349, N11 1.269
11 N -0.16968 0.08783 -2.64771  C5 1.324, N10 1.269
12 O -0.44516 -2.33336 -0.03189  C4 1.360, H30 0.965
13 O -2.59871 1.90830 0.42541  C2 1.385, C8 1.412
14 O -0.09479 -0.46872 1.25063  C4 1.340, C9 1.417
15 H -1.70208 2.78545 -1.83165  C1 1.082
16 H -2.67795 -0.60322 0.36053  C3 1.097
17 H -2.12341 -0.77481 -1.32477  C3 1.097
18 H 1.23152 1.97941 -1.49623  C6 1.092
19 H 2.43455 0.87627 -0.80144  C6 1.089
20 H 0.90186 1.17742 0.03226  C6 1.091
unitary — [yo͞o′nə ter΄ē] adj. 1. of a unit or units 2. of, based on, or characterized by unity 3. having the nature of or used as a unit … English World dictionary
unitary — unitariness, n. /yooh ni ter ee/, adj. 1. of or pertaining to a unit or units. 2. of, pertaining to, characterized by, or aiming toward unity: the unitary principles of nationalism. 3. of the nature of a unit; having the indivisible character of… … Universalium
unitary — 1. adjective a) Having the quality of oneness. Ex. b) Relating to a system of government in which sovereign power is concentrated in a single body instead of being shared or possessed by more local bodies. Ex. Ant: federalist … Wiktionary
unitary — [[t]ju͟ːnɪtri, AM teri[/t]] ADJ: ADJ n A unitary country or organization is one in which two or more areas or groups have joined together, have the same aims, and are controlled by a single government. ...a call for the creation of a single… … English dictionary
unitary — u|ni|ta|ry [ˈju:nıtəri US teri] adj formal relating to or existing as a single unit ▪ a single unitary authority for the whole region … Dictionary of contemporary English
unitary — u|ni|tar|y [ junı,teri ] adjective FORMAL 1. ) relating to or existing as a single thing 2. ) relating to units of measurement 3. ) controlled by a central government or authority: a unitary authority/state/council … Usage of the words and phrases in modern English